**Input:**
#P
Mn12O7F17: optimized geometry, PBE+U.

Cell and atoms, written as POSCAR:
```
Mn12O7F17
1.0
4.8232 0.0000 0.0000
0.4919 5.7940 0.0000
0.1092 0.1196 15.7926
Mn O F
12 7 17
Cartesian
0.0000 0.0000 0.0000 Mn
0.3531 3.9167 2.4992 Mn
0.6283 5.7262 5.1545 Mn
0.5448 4.0262 12.9477 Mn
0.5120 3.8902 7.6925 Mn
2.5780 2.9113 5.0364 Mn
2.6565 3.0243 10.3173 Mn
2.5160 1.1127 7.8294 Mn
2.7547 3.0328 15.4285 Mn
2.6047 1.1195 12.9480 Mn
2.5836 1.0701 2.4663 Mn
5.3531 5.7307 10.5412 Mn
1.5025 4.2527 11.2757 O
1.4754 4.1508 6.0499 O
1.6030 2.6153 3.3235 O
1.6875 2.6749 13.7239 O
1.6935 2.7267 8.6520 O
4.3380 5.5658 12.1798 O
4.2689 5.4971 1.6926 O
1.6052 5.6264 8.8111 F
1.5234 4.1409 0.8276 F
1.7223 5.5075 3.3828 F
1.8034 5.5912 14.0753 F
1.4676 1.2558 6.0452 F
1.5455 1.3180 11.2452 F
1.5152 1.2902 0.7141 F
3.7782 2.5920 6.7158 F
3.8271 2.6983 11.9396 F
3.7736 1.3334 14.6268 F
3.7105 1.3111 4.2557 F
3.7514 1.3066 9.5839 F
3.8304 2.5743 1.4596 F
4.2314 5.5043 6.9521 F
4.1350 4.2094 4.2207 F
4.1783 4.1729 9.3225 F
4.3524 4.2229 14.6773 F
```

---

#Q
Mn12O7F17: optimized geometry, PBE+U.

Cell and atoms, written as POSCAR:
```
Mn12O7F17
1.0
4.7979 0.0000 0.0000
0.1018 5.8269 0.0000
0.1437 0.0422 15.7646
Mn O F
12 7 17
Cartesian
0.0000 0.0000 0.0000 Mn
0.0567 0.0758 5.1580 Mn
0.1787 3.8741 7.7306 Mn
0.2745 3.8598 12.9791 Mn
2.3417 2.8773 10.3083 Mn
2.3310 1.1687 7.6668 Mn
2.4400 2.8368 15.5637 Mn
2.4532 1.0776 13.0392 Mn
2.3971 0.9765 2.3155 Mn
2.5012 2.8901 5.0255 Mn
4.6664 4.0522 2.5916 Mn
4.9399 5.6799 10.3876 Mn
1.1561 4.1018 11.2383 O
1.3978 2.5755 8.6265 O
1.5033 2.6229 13.8555 O
1.4079 1.2319 0.6787 O
1.4593 1.4509 5.9454 O
3.7830 4.1905 4.2751 O
3.8109 5.5559 1.6424 O
1.0778 4.1324 0.9245 F
1.2560 5.4996 8.5998 F
1.3060 5.5127 14.0115 F
1.2514 5.5494 3.4173 F
1.3274 4.2883 5.9850 F
1.3307 1.1961 11.3048 F
1.3011 2.6189 3.2596 F
3.4769 1.2725 9.4478 F
3.5530 2.6251 11.9298 F
3.4973 2.6799 1.4444 F
3.5160 1.3373 4.0226 F
3.6793 2.6449 6.7217 F
3.7378 1.2880 14.6363 F
3.7504 4.2120 9.4263 F
3.8459 5.4972 12.2373 F
3.7990 5.6339 6.9301 F
3.9079 4.1413 14.7252 F
```

---

How far above the most stable structure does each one sit? In meV/atom: #P 0; #Q 13.

---

#P
MgFe4H4O8: optimized geometry, PBE+U.

Cell and atoms, written as POSCAR:
```
MgFe4H4O8
1.0
7.9062 -1.5474 0.0000
7.9062 1.5474 0.0000
-7.2488 0.0000 8.0745
Mg Fe H O
1 4 4 8
Cartesian
0.0000 0.0000 0.0000 Mg
0.1493 -0.2939 2.6169 Fe
5.4514 -0.0520 0.0852 Fe
3.1123 -0.0520 7.9892 Fe
8.4144 -0.2939 5.4576 Fe
3.4115 -0.0488 1.9528 H
2.3825 -0.3239 4.6085 H
5.1522 -0.0488 6.1217 H
6.1811 -0.3239 3.4660 H
-5.5256 -0.0615 6.9919 O
3.5228 -0.0527 0.9880 O
-0.2388 -0.0495 6.8800 O
1.4421 -0.3397 4.3673 O
8.8025 -0.0495 1.1945 O
5.0409 -0.0527 7.0864 O
7.1216 -0.3397 3.7071 O
14.0892 -0.0615 1.0825 O
```

---

#Q
MgFe4H4O8: optimized geometry, PBE+U.

Cell and atoms, written as POSCAR:
```
MgFe4H4O8
1.0
7.3336 -1.5001 0.0000
7.3336 1.5001 0.0000
-5.1933 0.0000 8.3466
Mg Fe H O
1 4 4 8
Cartesian
0.0000 0.0000 0.0000 Mg
-2.8797 0.0000 6.7343 Fe
2.3011 0.0000 3.7451 Fe
7.1729 0.0000 4.6015 Fe
12.3537 0.0000 1.6123 Fe
-0.3640 0.0000 2.8496 H
2.8846 0.0000 1.4016 H
6.5894 0.0000 6.9450 H
9.8380 0.0000 5.4970 H
-1.1345 0.0000 3.4674 O
0.9287 0.0000 5.3107 O
3.5672 0.0000 2.1020 O
6.0492 0.0000 0.6175 O
3.4248 0.0000 7.7291 O
5.9068 0.0000 6.2446 O
8.5453 0.0000 3.0359 O
10.6085 0.0000 4.8792 O
```

---

How far above the most stable structure does each one sit? In meV/atom: #P 0; #Q 83.

---

#P
Li4Mn3Fe3W2O16: optimized geometry, PBE+U.

Cell and atoms, written as POSCAR:
```
Li4Mn3Fe3W2O16
1.0
5.1711 -2.9284 0.0000
5.1711 2.9284 0.0000
-0.4021 0.0000 9.7494
Li Mn Fe W O
4 3 3 2 16
Cartesian
0.0000 0.0000 0.0000 Li
-0.1835 0.0000 4.8565 Li
2.9955 0.0000 8.9687 Li
6.6455 0.0000 4.0316 Li
4.1340 1.4488 2.1998 Mn
4.1340 -1.4488 2.1998 Mn
8.2562 0.0000 7.0244 Mn
1.6347 0.0000 2.1641 Fe
5.7199 1.3880 7.1077 Fe
5.7199 -1.3880 7.1077 Fe
3.0959 0.0000 4.8604 W
6.4298 0.0000 9.7329 W
**Assignment:**
Next, print all of the block further above unchanged.
**Here it is:**
#P
Mn12O7F17: optimized geometry, PBE+U.

Cell and atoms, written as POSCAR:
```
Mn12O7F17
1.0
4.8232 0.0000 0.0000
0.4919 5.7940 0.0000
0.1092 0.1196 15.7926
Mn O F
12 7 17
Cartesian
0.0000 0.0000 0.0000 Mn
0.3531 3.9167 2.4992 Mn
0.6283 5.7262 5.1545 Mn
0.5448 4.0262 12.9477 Mn
0.5120 3.8902 7.6925 Mn
2.5780 2.9113 5.0364 Mn
2.6565 3.0243 10.3173 Mn
2.5160 1.1127 7.8294 Mn
2.7547 3.0328 15.4285 Mn
2.6047 1.1195 12.9480 Mn
2.5836 1.0701 2.4663 Mn
5.3531 5.7307 10.5412 Mn
1.5025 4.2527 11.2757 O
1.4754 4.1508 6.0499 O
1.6030 2.6153 3.3235 O
1.6875 2.6749 13.7239 O
1.6935 2.7267 8.6520 O
4.3380 5.5658 12.1798 O
4.2689 5.4971 1.6926 O
1.6052 5.6264 8.8111 F
1.5234 4.1409 0.8276 F
1.7223 5.5075 3.3828 F
1.8034 5.5912 14.0753 F
1.4676 1.2558 6.0452 F
1.5455 1.3180 11.2452 F
1.5152 1.2902 0.7141 F
3.7782 2.5920 6.7158 F
3.8271 2.6983 11.9396 F
3.7736 1.3334 14.6268 F
3.7105 1.3111 4.2557 F
3.7514 1.3066 9.5839 F
3.8304 2.5743 1.4596 F
4.2314 5.5043 6.9521 F
4.1350 4.2094 4.2207 F
4.1783 4.1729 9.3225 F
4.3524 4.2229 14.6773 F
```

---

#Q
Mn12O7F17: optimized geometry, PBE+U.

Cell and atoms, written as POSCAR:
```
Mn12O7F17
1.0
4.7979 0.0000 0.0000
0.1018 5.8269 0.0000
0.1437 0.0422 15.7646
Mn O F
12 7 17
Cartesian
0.0000 0.0000 0.0000 Mn
0.0567 0.0758 5.1580 Mn
0.1787 3.8741 7.7306 Mn
0.2745 3.8598 12.9791 Mn
2.3417 2.8773 10.3083 Mn
2.3310 1.1687 7.6668 Mn
2.4400 2.8368 15.5637 Mn
2.4532 1.0776 13.0392 Mn
2.3971 0.9765 2.3155 Mn
2.5012 2.8901 5.0255 Mn
4.6664 4.0522 2.5916 Mn
4.9399 5.6799 10.3876 Mn
1.1561 4.1018 11.2383 O
1.3978 2.5755 8.6265 O
1.5033 2.6229 13.8555 O
1.4079 1.2319 0.6787 O
1.4593 1.4509 5.9454 O
3.7830 4.1905 4.2751 O
3.8109 5.5559 1.6424 O
1.0778 4.1324 0.9245 F
1.2560 5.4996 8.5998 F
1.3060 5.5127 14.0115 F
1.2514 5.5494 3.4173 F
1.3274 4.2883 5.9850 F
1.3307 1.1961 11.3048 F
1.3011 2.6189 3.2596 F
3.4769 1.2725 9.4478 F
3.5530 2.6251 11.9298 F
3.4973 2.6799 1.4444 F
3.5160 1.3373 4.0226 F
3.6793 2.6449 6.7217 F
3.7378 1.2880 14.6363 F
3.7504 4.2120 9.4263 F
3.8459 5.4972 12.2373 F
3.7990 5.6339 6.9301 F
3.9079 4.1413 14.7252 F
```

---

How far above the most stable structure does each one sit? In meV/atom: #P 0; #Q 13.

---

#P
MgFe4H4O8: optimized geometry, PBE+U.

Cell and atoms, written as POSCAR:
```
MgFe4H4O8
1.0
7.9062 -1.5474 0.0000
7.9062 1.5474 0.0000
-7.2488 0.0000 8.0745
Mg Fe H O
1 4 4 8
Cartesian
0.0000 0.0000 0.0000 Mg
0.1493 -0.2939 2.6169 Fe
5.4514 -0.0520 0.0852 Fe
3.1123 -0.0520 7.9892 Fe
8.4144 -0.2939 5.4576 Fe
3.4115 -0.0488 1.9528 H
2.3825 -0.3239 4.6085 H
5.1522 -0.0488 6.1217 H
6.1811 -0.3239 3.4660 H
-5.5256 -0.0615 6.9919 O
3.5228 -0.0527 0.9880 O
-0.2388 -0.0495 6.8800 O
1.4421 -0.3397 4.3673 O
8.8025 -0.0495 1.1945 O
5.0409 -0.0527 7.0864 O
7.1216 -0.3397 3.7071 O
14.0892 -0.0615 1.0825 O
```

---

#Q
MgFe4H4O8: optimized geometry, PBE+U.

Cell and atoms, written as POSCAR:
```
MgFe4H4O8
1.0
7.3336 -1.5001 0.0000
7.3336 1.5001 0.0000
-5.1933 0.0000 8.3466
Mg Fe H O
1 4 4 8
Cartesian
0.0000 0.0000 0.0000 Mg
-2.8797 0.0000 6.7343 Fe
2.3011 0.0000 3.7451 Fe
7.1729 0.0000 4.6015 Fe
12.3537 0.0000 1.6123 Fe
-0.3640 0.0000 2.8496 H
2.8846 0.0000 1.4016 H
6.5894 0.0000 6.9450 H
9.8380 0.0000 5.4970 H
-1.1345 0.0000 3.4674 O
0.9287 0.0000 5.3107 O
3.5672 0.0000 2.1020 O
6.0492 0.0000 0.6175 O
3.4248 0.0000 7.7291 O
5.9068 0.0000 6.2446 O
8.5453 0.0000 3.0359 O
10.6085 0.0000 4.8792 O
```

---

How far above the most stable structure does each one sit? In meV/atom: #P 0; #Q 83.

---

#P
Li4Mn3Fe3W2O16: optimized geometry, PBE+U.

Cell and atoms, written as POSCAR:
```
Li4Mn3Fe3W2O16
1.0
5.1711 -2.9284 0.0000
5.1711 2.9284 0.0000
-0.4021 0.0000 9.7494
Li Mn Fe W O
4 3 3 2 16
Cartesian
0.0000 0.0000 0.0000 Li
-0.1835 0.0000 4.8565 Li
2.9955 0.0000 8.9687 Li
6.6455 0.0000 4.0316 Li
4.1340 1.4488 2.1998 Mn
4.1340 -1.4488 2.1998 Mn
8.2562 0.0000 7.0244 Mn
1.6347 0.0000 2.1641 Fe
5.7199 1.3880 7.1077 Fe
5.7199 -1.3880 7.1077 Fe
3.0959 0.0000 4.8604 W
6.4298 0.0000 9.7329 W